Now give back only the last part of the block further below, starting with the line that has "-2.74".

[1]
Formula: C17H42B4FN3O6
Source: the OMol25 dataset
Level of theory: ωB97M-V with the def2-TZVPD basis set

## Properties
Lowest unoccupied orbital energy (eV): 0.27
E (eV): -40498.1620
Charge: 0
Orbital gap (eV): 8.2
Maximum force (eV/Å): 0.74
SMILES string: C[C@@H](F)CB1OB(CC(=O)O)OB(B(N)O)O1.CCN(CC)CC.CCN(CC)CC

Atoms and positions in Å:
C -1.06 0.76 -2.86
C -0.56 1.15 -1.49
F -1.54 0.87 -0.53
C 0.71 0.42 -1.05
B 1.57 1.28 -0.07
O 1.71 0.94 1.27
B 2.48 1.73 2.10
C 2.86 1.21 3.55
C 2.01 1.93 4.57
O 2.33 2.91 5.18
O 0.75 1.44 4.73
O 2.87 2.97 1.67
B 2.35 3.43 0.47
B 1.75 5.02 0.24
N 0.50 5.38 0.94
O 2.42 5.87 -0.59
O 2.16 2.45 -0.50
H -0.98 -0.32 -3.00
H -0.45 1.25 -3.62
H -2.10 1.06 -2.98
H -0.40 2.23 -1.45
H 1.30 0.20 -1.94
H 0.42 -0.53 -0.59
H 3.90 1.43 3.77
H 2.69 0.13 3.59
H 0.70 0.52 4.42
H 0.54 6.30 1.38
H -0.31 5.39 0.33
H 1.98 6.72 -0.70
C -4.62 2.57 2.94
C -5.10 1.18 3.33
N -4.95 0.20 2.28
C -5.66 -1.04 2.53
C -5.21 -1.90 3.72
C -3.60 0.07 1.73
C -2.47 -0.29 2.70
H -5.10 2.89 2.01
H -4.86 3.29 3.72
H -3.54 2.60 2.79
H -6.17 1.23 3.57
H -4.60 0.89 4.27
H -5.61 -1.64 1.61
H -6.71 -0.78 2.67
H -4.27 -2.41 3.52
H -5.96 -2.66 3.92
H -5.09 -1.31 4.62
H -3.34 1.01 1.24
H -3.64 -0.67 0.93
H -2.52 0.30 3.62
H -1.51 -0.07 2.22
H -2.47 -1.35 2.97
C 0.94 -3.33 -4.95
C 2.23 -2.58 -4.66
N 2.53 -2.50 -3.24
C 3.58 -1.55 -2.92
C 5.00 -1.82 -3.44
C 2.59 -3.77 -2.53
C 3.58 -4.83 -3.02
H 0.11 -2.90 -4.38
H 0.71 -3.27 -6.01
H 1.01 -4.39 -4.69
H 2.14 -1.56 -5.02
H 3.05 -3.04 -5.24
H 3.62 -1.44 -1.83
H 3.26 -0.58 -3.31
H 5.49 -2.62 -2.89
H 5.61 -0.92 -3.32
H 5.00 -2.08 -4.50
H 1.59 -4.21 -2.54
H 2.79 -3.54 -1.48
H 3.55 -4.93 -4.11
H 3.33 -5.80 -2.60
H 4.61 -4.60 -2.74



[2]
Formula: C17H42BFN3O3P
Source: the OMol25 dataset
Level of theory: ωB97M-V with the def2-TZVPD basis set

## Properties
Lowest unoccupied orbital energy (eV): -0.44
E (eV): -41602.9115
Charge: 0
Orbital gap (eV): 5.4
Maximum force (eV/Å): 0.76

Atoms and positions in Å:
C 0.69 3.52 1.11
C -0.82 3.30 1.27
O -1.26 2.21 0.46
B -2.55 2.37 -0.11
O -2.73 3.58 -0.74
P -4.09 1.09 0.00
N -5.56 0.03 0.06
C -2.96 -0.47 0.18
C -2.30 -0.80 1.52
C -1.24 -1.87 1.49
N -0.65 -2.22 0.21
O -0.82 -2.44 2.48
C -4.22 1.49 1.91
F -4.82 0.48 2.71
C -4.94 2.81 2.20
C -6.46 2.74 2.10
H 0.92 4.24 0.32
H 1.15 3.86 2.04
H 1.14 2.57 0.84
H -1.05 3.08 2.32
H -1.35 4.21 0.99
H -3.64 3.62 -1.05
H -4.95 2.27 -0.32
H -3.94 0.90 -1.50
H -5.59 -0.50 -0.81
H -6.40 0.60 0.06
H -2.18 -0.30 -0.58
H -3.55 -1.34 -0.15
H -3.03 -1.11 2.27
H -1.79 0.10 1.91
H -0.26 -1.36 -0.16
H -1.41 -2.44 -0.44
H -3.21 1.59 2.33
H -4.55 3.57 1.51
H -4.67 3.13 3.21
H -6.86 1.98 2.79
H -6.90 3.71 2.38
H -6.80 2.52 1.09
C 6.42 -2.99 -1.47
C 5.37 -3.16 -2.56
C 4.74 -1.85 -3.04
C 4.13 -0.88 -2.03
N 2.88 -1.31 -1.30
C 3.15 -2.33 -0.21
C 3.60 -1.50 0.98
C 2.64 -0.31 0.94
C 2.31 -0.11 -0.54
C 1.86 -1.84 -2.24
H 6.05 -2.42 -0.61
H 6.74 -3.96 -1.09
H 7.30 -2.48 -1.85
H 4.60 -3.87 -2.26
H 5.84 -3.61 -3.44
H 4.01 -2.06 -3.82
H 5.52 -1.25 -3.54
H 3.83 0.02 -2.58
H 4.85 -0.57 -1.27
H 2.19 -2.80 0.00
H 3.85 -3.07 -0.56
H 4.64 -1.18 0.86
H 3.53 -2.07 1.90
H 3.07 0.59 1.38
H 1.73 -0.54 1.49
H 2.75 0.79 -0.97
H 1.24 -0.08 -0.73
H 2.21 -2.75 -2.71
H 1.62 -1.09 -3.00
H 0.99 -2.05 -1.63



[3]
Formula: C17H42BrClN3O
Source: the OMol25 dataset
Level of theory: ωB97M-V with the def2-TZVPD basis set

## Properties
Lowest unoccupied orbital energy (eV): -4.32
E (eV): -107383.8333
Charge: +1
Orbital gap (eV): 5.8
Maximum force (eV/Å): 0.25

Atoms and positions in Å:
C 2.76 -0.34 -0.18
O 3.02 -1.74 0.05
C 2.57 -2.28 1.21
N 1.85 -3.58 0.81
Cl 2.21 -4.87 1.92
C 0.35 -3.48 0.64
C -0.05 -2.35 -0.33
C -0.97 -1.30 0.30
Br -0.85 -3.16 -1.91
H 3.61 0.24 0.16
H 1.86 -0.02 0.35
H 2.63 -0.20 -1.25
H 3.38 -2.60 1.88
H 1.83 -1.67 1.74
H 2.27 -3.86 -0.08
H 0.02 -4.45 0.28
H -0.04 -3.33 1.65
H 0.84 -1.88 -0.74
H -0.72 -0.30 -0.04
H -2.01 -1.49 0.04
H -0.91 -1.32 1.39
C 4.70 1.37 -2.72
C 3.55 1.53 -3.71
N 2.93 2.83 -3.63
C 1.65 2.91 -4.34
C 1.65 2.72 -5.86

H 4.61 -4.60 -2.74



[2]
Formula: C17H42BFN3O3P
Source: the OMol25 dataset
Level of theory: ωB97M-V with the def2-TZVPD basis set

## Properties
Lowest unoccupied orbital energy (eV): -0.44
E (eV): -41602.9115
Charge: 0
Orbital gap (eV): 5.4
Maximum force (eV/Å): 0.76

Atoms and positions in Å:
C 0.69 3.52 1.11
C -0.82 3.30 1.27
O -1.26 2.21 0.46
B -2.55 2.37 -0.11
O -2.73 3.58 -0.74
P -4.09 1.09 0.00
N -5.56 0.03 0.06
C -2.96 -0.47 0.18
C -2.30 -0.80 1.52
C -1.24 -1.87 1.49
N -0.65 -2.22 0.21
O -0.82 -2.44 2.48
C -4.22 1.49 1.91
F -4.82 0.48 2.71
C -4.94 2.81 2.20
C -6.46 2.74 2.10
H 0.92 4.24 0.32
H 1.15 3.86 2.04
H 1.14 2.57 0.84
H -1.05 3.08 2.32
H -1.35 4.21 0.99
H -3.64 3.62 -1.05
H -4.95 2.27 -0.32
H -3.94 0.90 -1.50
H -5.59 -0.50 -0.81
H -6.40 0.60 0.06
H -2.18 -0.30 -0.58
H -3.55 -1.34 -0.15
H -3.03 -1.11 2.27
H -1.79 0.10 1.91
H -0.26 -1.36 -0.16
H -1.41 -2.44 -0.44
H -3.21 1.59 2.33
H -4.55 3.57 1.51
H -4.67 3.13 3.21
H -6.86 1.98 2.79
H -6.90 3.71 2.38
H -6.80 2.52 1.09
C 6.42 -2.99 -1.47
C 5.37 -3.16 -2.56
C 4.74 -1.85 -3.04
C 4.13 -0.88 -2.03
N 2.88 -1.31 -1.30
C 3.15 -2.33 -0.21
C 3.60 -1.50 0.98
C 2.64 -0.31 0.94
C 2.31 -0.11 -0.54
C 1.86 -1.84 -2.24
H 6.05 -2.42 -0.61
H 6.74 -3.96 -1.09
H 7.30 -2.48 -1.85
H 4.60 -3.87 -2.26
H 5.84 -3.61 -3.44
H 4.01 -2.06 -3.82
H 5.52 -1.25 -3.54
H 3.83 0.02 -2.58
H 4.85 -0.57 -1.27
H 2.19 -2.80 0.00
H 3.85 -3.07 -0.56
H 4.64 -1.18 0.86
H 3.53 -2.07 1.90
H 3.07 0.59 1.38
H 1.73 -0.54 1.49
H 2.75 0.79 -0.97
H 1.24 -0.08 -0.73
H 2.21 -2.75 -2.71
H 1.62 -1.09 -3.00
H 0.99 -2.05 -1.63



[3]
Formula: C17H42BrClN3O
Source: the OMol25 dataset
Level of theory: ωB97M-V with the def2-TZVPD basis set

## Properties
Lowest unoccupied orbital energy (eV): -4.32
E (eV): -107383.8333
Charge: +1
Orbital gap (eV): 5.8
Maximum force (eV/Å): 0.25

Atoms and positions in Å:
C 2.76 -0.34 -0.18
O 3.02 -1.74 0.05
C 2.57 -2.28 1.21
N 1.85 -3.58 0.81
Cl 2.21 -4.87 1.92
C 0.35 -3.48 0.64
C -0.05 -2.35 -0.33
C -0.97 -1.30 0.30
Br -0.85 -3.16 -1.91
H 3.61 0.24 0.16
H 1.86 -0.02 0.35
H 2.63 -0.20 -1.25
H 3.38 -2.60 1.88
H 1.83 -1.67 1.74
H 2.27 -3.86 -0.08
H 0.02 -4.45 0.28
H -0.04 -3.33 1.65
H 0.84 -1.88 -0.74
H -0.72 -0.30 -0.04
H -2.01 -1.49 0.04
H -0.91 -1.32 1.39
C 4.70 1.37 -2.72
C 3.55 1.53 -3.71
N 2.93 2.83 -3.63
C 1.65 2.91 -4.34
C 1.65 2.72 -5.86